HC Deb 02 May 1814 vol 27 cc620-1

On the question, that the Report of the Committee be received,

-- begin --
## Na10Y4Sc4Si5S7O48 (PBE-GGA)

Data for a relaxed Na10Y4Sc4Si5S7O48 crystal.

```
Na10Y4Sc4Si5S7O48
1.0
9.214 0.000 0.000
-0.001 15.983 0.000
-0.017 -0.126 23.405
Na Y Sc Si S O
30 12 12 15 21 144
Cartesian
0.000 0.000 0.000
0.000 5.364 15.369
0.108 10.287 23.343
0.411 4.914 23.047
0.416 15.662 7.400
1.558 7.871 13.475
1.603 2.571 21.208
1.714 13.073 5.595
1.815 13.113 17.374
1.869 2.727 9.511
2.070 8.020 1.927
2.930 4.997 11.333
3.058 15.571 19.086
3.317 10.291 11.463
3.557 0.008 11.698
4.567 13.418 15.421
5.083 7.671 7.423
5.148 12.860 23.085
6.136 10.623 21.338
6.149 15.859 13.443
6.171 5.293 5.736
6.366 5.125 17.268
6.439 15.857 1.658
6.500 10.680 9.467
7.589 12.938 11.275
7.648 7.624 19.056
7.691 2.385 3.509
7.949 2.323 11.531
8.136 13.411 3.671
8.148 7.949 11.639
1.721 2.420 17.729
1.732 12.904 9.117
1.771 12.858 20.912
1.782 13.041 13.798
1.857 7.697 21.680
6.244 15.721 16.926
6.297 5.222 2.267
6.334 10.372 17.767
6.372 15.707 5.246
6.381 15.606 21.722
6.447 10.301 13.118
6.474 4.916 20.864
1.612 7.620 16.940
1.635 7.573 9.933
1.672 2.393 1.434
1.676 13.079 2.189
1.805 2.489 6.104
1.892 2.396 13.048
1.957 7.664 5.242
6.201 10.356 1.385
6.287 15.616 9.947
6.297 4.920 9.188
6.405 10.436 6.080
6.444 5.060 13.797
0.379 5.318 19.349
0.389 10.584 11.491
0.461 0.079 3.779
3.093 -0.015 15.404
3.102 10.625 23.340
3.142 5.369 7.645
4.548 13.073 11.525
4.919 13.251 19.323
5.006 8.132 3.833
5.031 2.722 11.527
7.713 13.324 7.602
7.738 7.858 15.461
7.788 2.622 23.380
8.194 12.929 23.336
9.049 5.031 11.515
0.356 15.489 11.469
0.401 10.002 19.274
0.456 4.782 3.737
3.049 15.382 23.286
3.132 10.014 7.595
3.142 4.790 15.367
3.547 10.310 15.415
3.568 4.951 23.237
3.589 15.808 7.646
4.404 2.453 3.717
4.472 7.667 19.245
4.956 2.089 19.343
4.979 7.358 11.475
4.989 12.726 3.699
7.707 7.419 23.205
7.740 2.137 7.636
7.740 12.784 15.414
8.237 2.414 15.301
8.254 7.753 7.600
9.048 10.406 3.712
9.124 15.696 19.327
9.201 12.911 15.330
0.017 2.197 7.517
0.145 13.347 7.655
0.191 7.676 15.557
0.267 2.636 0.027
0.521 11.646 10.266
0.546 14.602 12.642
0.666 11.665 3.640
0.686 9.221 3.908
0.679 9.267 20.541
0.763 1.027 2.446
0.774 3.894 4.885
0.767 14.484 19.390
0.780 6.271 18.050
0.794 3.692 11.689
0.806 6.364 11.344
0.822 0.899 19.260
0.876 6.017 20.748
0.962 0.851 11.689
0.967 9.286 18.123
0.961 11.364 19.308
0.988 14.910 10.270
1.003 0.885 5.111
1.006 4.189 2.480
1.005 6.137 3.893
1.012 3.823 19.247
1.049 14.534 3.675
1.092 11.249 12.806
1.143 9.130 11.264
2.286 9.194 23.247
2.421 11.589 1.158
2.462 0.868 0.069
2.460 3.887 7.408
2.463 14.845 22.022
2.478 6.111 15.520
2.479 14.437 15.392
2.495 4.150 14.168
2.514 6.044 9.019
2.542 9.335 6.425
2.566 11.383 7.630
2.620 0.691 16.802
2.649 6.138 23.176
2.661 0.900 14.086
2.706 14.622 7.728
2.716 1.034 7.555
2.710 3.746 23.371
2.721 9.123 15.613
2.729 11.561 15.363
2.771 14.612 1.018
2.827 6.401 6.398
2.839 9.255 8.849
2.873 3.959 16.566
2.958 11.510 21.973
3.267 13.275 19.306
3.350 7.982 3.890
3.385 2.519 11.697
-- stop --
The records of crystals stop here:

Mr. Brand

rose and observed, that, according to the standing order of their House, new notices ought to have been given to those individuals who had signified their consent to the cutting of this canal. The present was a Bill to amend a former Bill passed in the last session; but the amendments were of a description that wholly altered the original Act. It totally changed and varied the line of the canal; and it became a question for consideration, whether those who had assented to the first plan, were bound to consent to the second; he should therefore move, that the Report be received this day six months.

After a few words from Mr. Western and Mr. Harvey,

The Speaker

observed, that the question which had been raised by the hon. member was one important to the safety of their own proceedings, and the interests of private property and he therefore wished the attention of the House to be particularly given to it Here was a Bill, founded upon one that had passed last session, but essentially changing its object and character, and which assumed as a principle, that the parties interested in the first were formally bound to consent to the present, though avowedly producing an opposite result from that to which they had originally assented, He could not better illustrate his own conception of the case, than by supposing a canal to be cut, one end of which should terminate at a coal-pit, and the other at a chalk-pit: the persons interested in this undertaking consent to it; but if, afterwards, it were resolved to stop short, and to carry the canal neither to the coal-pit nor the chalk-pit, but only through an intermediate space, it could hardly be assumed, that the parties who had in the first instance agreed to the plan were also consenting to the alteration, when it accomplished neither of the purposes they might be supposed to have in view. Something analogous to this he conceived the present question to be; and it was for the House to consider how they would dispose of it.

These calculated crystals were left in the page by mistake =
********
(1)
H12WC2S4N2: relaxed, PBE.

- total moment (Bohr magnetons per cell) = 0.00
- symmetry = Pnma, No. 62
- calculated volume (Å³ per cell) = 1136.2
- ΔH_f (0 K) (eV per atom) = -0.45
- crystal system = orthorhombic
- total DFT energy (no corrections) (Ry/atom) = -0.3919

Structure (CIF):
```
data_H12WC2S4N2
_cell_length_a 9.658
_cell_length_b 7.245
_cell_length_c 16.237
_cell_angle_alpha 90.00
_cell_angle_beta 90.00
_cell_angle_gamma 90.00
_symmetry_space_group_name_H-M 'P 1'
_symmetry_Int_Tables_number 1
loop_
_symmetry_equiv_pos_as_xyz
'x,y,z'
loop_
_atom_site_label
_atom_site_type_symbol
_atom_site_fract_x
_atom_site_fract_y
_atom_site_fract_z
H1 H 0.022 0.127 0.232
H2 H 0.022 0.373 0.232
H3 H 0.038 0.250 0.095
H4 H 0.070 0.250 0.708
H5 H 0.108 0.135 0.570
H6 H 0.108 0.365 0.570
H7 H 0.115 0.635 0.894
H8 H 0.115 0.865 0.894
H9 H 0.138 0.750 0.754
H10 H 0.230 0.126 0.701
H11 H 0.230 0.374 0.701
H12 H 0.242 0.750 0.063
H13 H 0.258 0.250 0.563
H14 H 0.270 0.626 0.201
H15 H 0.270 0.874 0.201
H16 H 0.362 0.250 0.254
H17 H 0.385 0.135 0.394
H18 H 0.385 0.365 0.394
H19 H 0.392 0.635 0.070
H20 H 0.392 0.865 0.070
H21 H 0.430 0.750 0.208
H22 H 0.462 0.750 0.595
H23 H 0.478 0.627 0.732
H24 H 0.478 0.873 0.732
H25 H 0.522 0.127 0.268
H26 H 0.522 0.373 0.268
H27 H 0.538 0.250 0.405
H28 H 0.570 0.250 0.792
H29 H 0.608 0.135 0.930
H30 H 0.608 0.365 0.930
H31 H 0.615 0.635 0.606
H32 H 0.615 0.865 0.606
H33 H 0.638 0.750 0.746
H34 H 0.730 0.126 0.799
H35 H 0.730 0.374 0.799
H36 H 0.742 0.750 0.437
H37 H 0.758 0.250 0.937
H38 H 0.770 0.626 0.299
H39 H 0.770 0.874 0.299
H40 H 0.862 0.250 0.246
H41 H 0.885 0.135 0.106
H42 H 0.885 0.365 0.106
H43 H 0.892 0.635 0.430
H44 H 0.892 0.865 0.430
H45 H 0.930 0.750 0.292
H46 H 0.962 0.750 0.905
H47 H 0.978 0.627 0.768
H48 H 0.978 0.873 0.768
W1 W 0.242 0.250 0.950
W2 W 0.258 0.750 0.450
W3 W 0.742 0.250 0.550
W4 W 0.758 0.750 0.050
C1 C 0.038 0.750 0.786
C2 C 0.174 0.250 0.682
C3 C 0.326 0.750 0.182
C4 C 0.462 0.250 0.286
C5 C 0.538 0.750 0.714
C6 C 0.674 0.250 0.818
C7 C 0.826 0.750 0.318
C8 C 0.962 0.250 0.214
S1 S 0.021 0.250 0.914
S2 S 0.154 0.503 0.400
S3 S 0.154 0.997 0.400
S4 S 0.238 0.750 0.586
S5 S 0.262 0.250 0.086
S6 S 0.346 0.003 0.900
S7 S 0.346 0.497 0.900
S8 S 0.479 0.750 0.414
S9 S 0.521 0.250 0.586
S10 S 0.654 0.503 0.100
S11 S 0.654 0.997 0.100
S12 S 0.738 0.750 0.914
S13 S 0.762 0.250 0.414
S14 S 0.846 0.003 0.600
S15 S 0.846 0.497 0.600
S16 S 0.979 0.750 0.086
N1 N 0.059 0.750 0.876
N2 N 0.162 0.250 0.590
N3 N 0.338 0.750 0.090
N4 N 0.441 0.250 0.376
N5 N 0.559 0.750 0.624
N6 N 0.662 0.250 0.910
N7 N 0.838 0.750 0.410
N8 N 0.941 0.250 0.124
```

---

(2)
ZnH12C6S4N2: relaxed, PBE.

- total moment (Bohr magnetons per cell) = 0.01
- symmetry = C2/c, No. 15
- calculated volume (Å³ per cell) = 1452.0
- ΔH_f (0 K) (eV per atom) = -0.23
- crystal system = monoclinic
- total DFT energy (no corrections) (Ry/atom) = -0.3930

Structure (CIF):
```
data_ZnH12C6S4N2
_cell_length_a 9.429
_cell_length_b 9.429
********
Here the page continues =

Mr. Yorke

said, the House was not correctly in possession of the object of the amended Bill. Its object was, to proceed immediately with part of the work; but it by no means implied that the whole line of canal would not be subsequently cut.

After a few words from Mr. Brand, Mr. S. Lefevre and general Manners,

The Speaker

suggested, that the better way would be to let the Bill proceed through its present stage, and postpone the third reading for eight or ten days; to give the parties time to petition upon the question of the standing order. This proposition was acceded to by Mr. Brand.